It remains to write out the data further below with every line break kept.
+++
1.
{
  "formula": "Li4VTe3O12",
  "functional": "GGA+U",
  "state": "optimized geometry",
  "cell": [[-1.024, -4.923, 0.487], [8.768, -2.977, -4.812], [12.624, -1.654, 13.136]],
  "species": ["Li", "Li", "Li", "Li", "Li", "Li", "Li", "Li", "Li", "Li", "Li", "Li", "Li", "Li", "Li", "Li", "V", "V", "V", "V", "Te", "Te", "Te", "Te", "Te", "Te", "Te", "Te", "Te", "Te", "Te", "Te", "O", "O", "O", "O", "O", "O", "O", "O", "O", "O", "O", "O", "O", "O", "O", "O", "O", "O", "O", "O", "O", "O", "O", "O", "O", "O", "O", "O", "O", "O", "O", "O", "O", "O", "O", "O", "O", "O", "O", "O", "O", "O", "O", "O", "O", "O", "O", "O"],
  "fractional_positions": [[0.996, 0.577, 0.848], [0.996, 0.327, 0.348], [0.996, 0.077, 0.848], [0.996, 0.827, 0.348], [0.496, 0.533, 0.935], [0.497, 0.283, 0.435], [0.496, 0.033, 0.935], [0.498, 0.783, 0.435], [0.013, 0.439, 0.650], [0.011, 0.188, 0.149], [0.013, 0.939, 0.650], [0.011, 0.688, 0.149], [0.500, 0.460, 0.586], [0.499, 0.210, 0.087], [0.500, 0.960, 0.586], [0.499, 0.710, 0.087], [0.998, 0.480, 0.052], [0.999, 0.230, 0.552], [0.999, 0.730, 0.552], [0.998, 0.980, 0.052], [0.496, 0.647, 0.700], [0.496, 0.397, 0.200], [0.496, 0.147, 0.700], [0.496, 0.897, 0.200], [0.995, 0.270, 0.962], [0.995, 0.021, 0.462], [0.995, 0.770, 0.962], [0.995, 0.521, 0.462], [0.501, 0.349, 0.801], [0.501, 0.099, 0.301], [0.501, 0.849, 0.801], [0.501, 0.599, 0.301], [0.264, 0.610, 0.626], [0.263, 0.360, 0.126], [0.264, 0.110, 0.626], [0.263, 0.860, 0.126], [0.739, 0.251, 0.624], [0.738, 0.001, 0.124], [0.739, 0.751, 0.624], [0.738, 0.502, 0.123], [0.285, 0.535, 0.781], [0.285, 0.285, 0.281], [0.285, 0.035, 0.781], [0.285, 0.785, 0.281], [0.718, 0.184, 0.778], [0.718, 0.934, 0.278], [0.718, 0.684, 0.778], [0.718, 0.434, 0.278], [0.204, 0.417, 0.973], [0.205, 0.167, 0.473], [0.205, 0.917, 0.973], [0.205, 0.667, 0.473], [0.792, 0.112, 0.970], [0.793, 0.863, 0.470], [0.792, 0.612, 0.970], [0.793, 0.363, 0.470], [0.703, 0.477, 0.710], [0.702, 0.227, 0.210], [0.703, 0.977, 0.710], [0.702, 0.727, 0.210], [0.298, 0.310, 0.709], [0.298, 0.060, 0.209], [0.299, 0.810, 0.709], [0.298, 0.560, 0.209], [0.807, 0.564, 0.547], [0.806, 0.314, 0.047], [0.807, 0.064, 0.547], [0.806, 0.814, 0.047], [0.202, 0.383, 0.544], [0.201, 0.133, 0.044], [0.202, 0.883, 0.544], [0.200, 0.633, 0.044], [0.778, 0.400, 0.888], [0.778, 0.151, 0.388], [0.778, 0.900, 0.888], [0.778, 0.651, 0.388], [0.216, 0.216, 0.887], [0.215, 0.967, 0.387], [0.216, 0.716, 0.887], [0.216, 0.467, 0.387]],
  "e_form_kj_per_mol_atoms": -186.78,
  "dft_energy_ev_per_cell": -457.19,
  "de_polymorph_ev_per_fu": 0.00
}


2.
{
  "formula": "LiNiP4O12",
  "functional": "GGA+U",
  "state": "optimized geometry",
  "cell": [[4.188, 5.956, 0.000], [-4.188, 5.956, 0.000], [0.000, 4.871, 8.827]],
  "species": ["Li", "Li", "Ni", "Ni", "P", "P", "P", "P", "P", "P", "P", "P", "O", "O", "O", "O", "O", "O", "O", "O", "O", "O", "O", "O", "O", "O", "O", "O", "O", "O", "O", "O", "O", "O", "O", "O"],
  "fractional_positions": [[0.000, 0.500, 0.000], [0.500, 0.000, 0.500], [0.555, 0.445, 0.250], [0.445, 0.555, 0.750], [0.752, 0.231, 0.979], [0.796, 0.809, 0.195], [0.191, 0.204, 0.305], [0.769, 0.248, 0.521], [0.231, 0.752, 0.479], [0.809, 0.796, 0.695], [0.204, 0.191, 0.805], [0.248, 0.769, 0.021], [0.780, 0.312, 0.084], [0.309, 0.152, 0.655], [0.381, 0.224, 0.319], [0.966, 0.192, 0.849], [0.718, 0.999, 0.064], [0.587, 0.343, 0.905], [0.001, 0.282, 0.436], [0.152, 0.309, 0.155], [0.312, 0.780, 0.584], [0.657, 0.413, 0.595], [0.776, 0.619, 0.181], [0.192, 0.966, 0.349], [0.808, 0.034, 0.651], [0.224, 0.381, 0.819], [0.343, 0.587, 0.405], [0.688, 0.220, 0.416], [0.848, 0.691, 0.845], [0.999, 0.718, 0.564], [0.413, 0.657, 0.095], [0.282, 0.001, 0.936], [0.034, 0.808, 0.151], [0.619, 0.776, 0.681], [0.691, 0.848, 0.345], [0.220, 0.688, 0.916]],
  "e_form_kj_per_mol_atoms": -229.95,
  "spacegroup": "C2/c (15)",
  "dft_energy_ev_per_cell": -241.66,
  "de_polymorph_ev_per_fu": 0.12
}


3.
{
  "formula": "Cr3CuO8",
+++
1.
{
  "formula": "Li4VTe3O12",
  "functional": "GGA+U",
  "state": "optimized geometry",
  "cell": [[-1.024, -4.923, 0.487], [8.768, -2.977, -4.812], [12.624, -1.654, 13.136]],
  "species": ["Li", "Li", "Li", "Li", "Li", "Li", "Li", "Li", "Li", "Li", "Li", "Li", "Li", "Li", "Li", "Li", "V", "V", "V", "V", "Te", "Te", "Te", "Te", "Te", "Te", "Te", "Te", "Te", "Te", "Te", "Te", "O", "O", "O", "O", "O", "O", "O", "O", "O", "O", "O", "O", "O", "O", "O", "O", "O", "O", "O", "O", "O", "O", "O", "O", "O", "O", "O", "O", "O", "O", "O", "O", "O", "O", "O", "O", "O", "O", "O", "O", "O", "O", "O", "O", "O", "O", "O", "O"],
  "fractional_positions": [[0.996, 0.577, 0.848], [0.996, 0.327, 0.348], [0.996, 0.077, 0.848], [0.996, 0.827, 0.348], [0.496, 0.533, 0.935], [0.497, 0.283, 0.435], [0.496, 0.033, 0.935], [0.498, 0.783, 0.435], [0.013, 0.439, 0.650], [0.011, 0.188, 0.149], [0.013, 0.939, 0.650], [0.011, 0.688, 0.149], [0.500, 0.460, 0.586], [0.499, 0.210, 0.087], [0.500, 0.960, 0.586], [0.499, 0.710, 0.087], [0.998, 0.480, 0.052], [0.999, 0.230, 0.552], [0.999, 0.730, 0.552], [0.998, 0.980, 0.052], [0.496, 0.647, 0.700], [0.496, 0.397, 0.200], [0.496, 0.147, 0.700], [0.496, 0.897, 0.200], [0.995, 0.270, 0.962], [0.995, 0.021, 0.462], [0.995, 0.770, 0.962], [0.995, 0.521, 0.462], [0.501, 0.349, 0.801], [0.501, 0.099, 0.301], [0.501, 0.849, 0.801], [0.501, 0.599, 0.301], [0.264, 0.610, 0.626], [0.263, 0.360, 0.126], [0.264, 0.110, 0.626], [0.263, 0.860, 0.126], [0.739, 0.251, 0.624], [0.738, 0.001, 0.124], [0.739, 0.751, 0.624], [0.738, 0.502, 0.123], [0.285, 0.535, 0.781], [0.285, 0.285, 0.281], [0.285, 0.035, 0.781], [0.285, 0.785, 0.281], [0.718, 0.184, 0.778], [0.718, 0.934, 0.278], [0.718, 0.684, 0.778], [0.718, 0.434, 0.278], [0.204, 0.417, 0.973], [0.205, 0.167, 0.473], [0.205, 0.917, 0.973], [0.205, 0.667, 0.473], [0.792, 0.112, 0.970], [0.793, 0.863, 0.470], [0.792, 0.612, 0.970], [0.793, 0.363, 0.470], [0.703, 0.477, 0.710], [0.702, 0.227, 0.210], [0.703, 0.977, 0.710], [0.702, 0.727, 0.210], [0.298, 0.310, 0.709], [0.298, 0.060, 0.209], [0.299, 0.810, 0.709], [0.298, 0.560, 0.209], [0.807, 0.564, 0.547], [0.806, 0.314, 0.047], [0.807, 0.064, 0.547], [0.806, 0.814, 0.047], [0.202, 0.383, 0.544], [0.201, 0.133, 0.044], [0.202, 0.883, 0.544], [0.200, 0.633, 0.044], [0.778, 0.400, 0.888], [0.778, 0.151, 0.388], [0.778, 0.900, 0.888], [0.778, 0.651, 0.388], [0.216, 0.216, 0.887], [0.215, 0.967, 0.387], [0.216, 0.716, 0.887], [0.216, 0.467, 0.387]],
  "e_form_kj_per_mol_atoms": -186.78,
  "dft_energy_ev_per_cell": -457.19,
  "de_polymorph_ev_per_fu": 0.00
}


2.
{
  "formula": "LiNiP4O12",
  "functional": "GGA+U",
  "state": "optimized geometry",
  "cell": [[4.188, 5.956, 0.000], [-4.188, 5.956, 0.000], [0.000, 4.871, 8.827]],
  "species": ["Li", "Li", "Ni", "Ni", "P", "P", "P", "P", "P", "P", "P", "P", "O", "O", "O", "O", "O", "O", "O", "O", "O", "O", "O", "O", "O", "O", "O", "O", "O", "O", "O", "O", "O", "O", "O", "O"],
  "fractional_positions": [[0.000, 0.500, 0.000], [0.500, 0.000, 0.500], [0.555, 0.445, 0.250], [0.445, 0.555, 0.750], [0.752, 0.231, 0.979], [0.796, 0.809, 0.195], [0.191, 0.204, 0.305], [0.769, 0.248, 0.521], [0.231, 0.752, 0.479], [0.809, 0.796, 0.695], [0.204, 0.191, 0.805], [0.248, 0.769, 0.021], [0.780, 0.312, 0.084], [0.309, 0.152, 0.655], [0.381, 0.224, 0.319], [0.966, 0.192, 0.849], [0.718, 0.999, 0.064], [0.587, 0.343, 0.905], [0.001, 0.282, 0.436], [0.152, 0.309, 0.155], [0.312, 0.780, 0.584], [0.657, 0.413, 0.595], [0.776, 0.619, 0.181], [0.192, 0.966, 0.349], [0.808, 0.034, 0.651], [0.224, 0.381, 0.819], [0.343, 0.587, 0.405], [0.688, 0.220, 0.416], [0.848, 0.691, 0.845], [0.999, 0.718, 0.564], [0.413, 0.657, 0.095], [0.282, 0.001, 0.936], [0.034, 0.808, 0.151], [0.619, 0.776, 0.681], [0.691, 0.848, 0.345], [0.220, 0.688, 0.916]],
  "e_form_kj_per_mol_atoms": -229.95,
  "spacegroup": "C2/c (15)",
  "dft_energy_ev_per_cell": -241.66,
  "de_polymorph_ev_per_fu": 0.12
}


3.
{
  "formula": "Cr3CuO8",